Work order >
Your job: print only the last part of the material below, starting with the line that has "-1.6109 0.6310".

Entries >
........
ORCA calculation (the ωB97M-V functional and the def2-TZVPD basis) on a structure of composition C16H21AuBrN2OS3.

Each line ends with the Löwdin spin population.
Positions of all 45 atoms, in Å:
Au -0.4030 -0.7402 1.1904  0.40
C 0.1585 2.9537 -3.5390  0.00
C 1.3451 2.0081 -3.3807  0.00
S 1.2167 0.7684 -2.0700  0.00
C 1.3919 1.7519 -0.5690  0.01
C 0.1315 2.4347 -0.0468  0.03
S -1.3311 1.4211 0.2737  0.32
C -2.0637 0.9817 -1.3266  0.03
C -2.2978 2.1803 -2.2670  0.02
S -1.4288 2.1357 -3.8501  0.01
H 0.3371 3.5804 -4.4143  0.00
H 0.0587 3.6416 -2.7001  0.00
H 2.2723 2.5677 -3.2449  0.00
H 1.4592 1.4123 -4.2869  0.00
H 2.1560 2.5164 -0.7251  0.00
H 1.7842 1.0668 0.1873  0.00
H -0.2145 3.2170 -0.7215  0.01
H 0.3232 2.9154 0.9155  0.00
H -3.0133 0.5415 -1.0167  0.00
H -1.4520 0.2192 -1.7981  0.01
H -2.1579 3.1454 -1.7782  0.00
H -3.3481 2.1561 -2.5592  0.00
Br -2.3916 -1.3692 3.6114  0.01
C -0.9370 -0.2744 4.0661  0.01
C -0.7921 0.1923 5.3585  0.00
C 0.3049 0.9844 5.6520  0.00
C 1.2215 1.2836 4.6513  0.00
C 1.0067 0.7848 3.3881  0.01
N -0.0609 0.0157 3.0936  0.04
H -1.5239 -0.0676 6.1089  0.00
H 0.4440 1.3629 6.6559  0.00
H 2.0926 1.8919 4.8461  0.00
H 1.6932 0.9826 2.5763  0.00
O -0.7607 -1.6790 -0.5786  0.05
N -0.1748 -2.8916 -0.7561  0.01
C -0.8708 -3.9916 -0.4268  0.01
C -0.3371 -5.2347 -0.6798  0.00
C 0.9106 -5.3290 -1.2813  0.01
C 1.5958 -4.1698 -1.6206  0.00
C 1.0277 -2.9453 -1.3519  0.01
H -1.8387 -3.8133 0.0170  0.00
H -0.9044 -6.1145 -0.4135  0.00
H 1.3416 -6.2981 -1.4916  0.00
H 2.5625 -4.2062 -2.1013  0.00
H 1.4667 -1.9886 -1.5966  0.00

The net charge is +2. Its spin multiplicity is 2. For the HOMO energy (alpha / beta), the calculation gives -13.8 / -13.8 eV.

=====

ORCA calculation (the ωB97M-V functional and the def2-TZVPD basis) on an isolated molecule of C6H10O.

Each line ends with the natural charge from an NBO analysis.
Positions of all 17 atoms, in Å:
O 1.2971 -0.4043 1.7476  -0.54
C 0.1698 -0.1157 2.0823  0.45
C -1.0615 -0.3207 1.2353  -0.51
C -0.7857 -0.8993 -0.1518  -0.41
C -0.2244 0.0680 -1.1946  -0.23
C 0.6308 1.2660 -0.8661  -0.42
C 1.2389 0.0734 -1.5397  -0.41
H -0.0134 0.3246 3.0860  0.11
H -1.7137 -0.9945 1.8127  0.23
H -1.6109 0.6310 1.1878  0.23
H -1.7275 -1.3086 -0.5360  0.22
H -0.1112 -1.7561 -0.0396  0.22
H -0.8901 0.2262 -2.0415  0.21
H 0.4741 2.1720 -1.4449  0.21
H 0.9173 1.4444 0.1658  0.22
H 1.5296 0.1432 -2.5840  0.21
H 1.8808 -0.5494 -0.9193  0.23

Its spin multiplicity is 1. As for the SMILES: O=CCCC1CC1. For the HOMO energy, the calculation gives -9.9 eV.

=====

ORCA calculation (the ωB97M-V functional and the def2-TZVPD basis) on a structure of composition C2H6NO in a non-equilibrium geometry.

Each line ends with the natural charge from an NBO analysis.
Positions of all 10 atoms, in Å:
C 1.2168 -0.6540 -0.3589  -0.11
C 0.3077 0.2335 0.3583  0.21
N -1.1691 0.3703 0.0364  -0.71
O 1.2439 0.7995 -0.4675  -0.41
H 2.0136 -1.2892 -0.0014  0.25
H 0.7600 -1.1078 -1.1680  0.19
H 0.2853 0.3807 1.7840  0.21
H -1.2866 0.6148 -0.9450  0.45
H -1.7610 1.1149 0.6631  0.48
H -1.6106 -0.4629 0.0989  0.43

The net charge is +1. Its spin multiplicity is 1. For the HOMO energy, the calculation gives -16.3 eV.

=====

ORCA calculation (the ωB97M-V functional and the def2-TZVPD basis) on a cluster of 2 separate species, C3H4INOS in total in a non-equilibrium geometry.

Each line ends with the natural charge from an NBO analysis.
Positions of all 11 atoms, in Å:
C -0.6021 0.6799 -0.6802  0.37
C -0.2703 -0.5749 -1.1059  0.38
C -0.9377 0.5722 0.8333  -0.68
N -0.7980 -1.7246 -1.2632  -0.56
O -0.6386 1.7349 -1.2880  -0.44
S 3.8412 0.7502 1.4091  -0.45
I 2.5253 -0.7592 0.1728  0.24
H -1.7201 -0.1461 0.9130  0.23
H -1.2666 1.6465 1.0691  0.25
H 0.0423 0.3121 1.3499  0.26
H -0.1754 -2.4910 -1.4098  0.40

Its spin multiplicity is 1. For the HOMO energy (alpha / beta), the calculation gives -8.1 / -8.1 eV.

=====
........

Reply >
H -1.6109 0.6310 1.1878  0.23
H -1.7275 -1.3086 -0.5360  0.22
H -0.1112 -1.7561 -0.0396  0.22
H -0.8901 0.2262 -2.0415  0.21
H 0.4741 2.1720 -1.4449  0.21
H 0.9173 1.4444 0.1658  0.22
H 1.5296 0.1432 -2.5840  0.21
H 1.8808 -0.5494 -0.9193  0.23

Its spin multiplicity is 1. As for the SMILES: O=CCCC1CC1. For the HOMO energy, the calculation gives -9.9 eV.

=====

ORCA calculation (the ωB97M-V functional and the def2-TZVPD basis) on a structure of composition C2H6NO in a non-equilibrium geometry.

Each line ends with the natural charge from an NBO analysis.
Positions of all 10 atoms, in Å:
C 1.2168 -0.6540 -0.3589  -0.11
C 0.3077 0.2335 0.3583  0.21
N -1.1691 0.3703 0.0364  -0.71
O 1.2439 0.7995 -0.4675  -0.41
H 2.0136 -1.2892 -0.0014  0.25
H 0.7600 -1.1078 -1.1680  0.19
H 0.2853 0.3807 1.7840  0.21
H -1.2866 0.6148 -0.9450  0.45
H -1.7610 1.1149 0.6631  0.48
H -1.6106 -0.4629 0.0989  0.43

The net charge is +1. Its spin multiplicity is 1. For the HOMO energy, the calculation gives -16.3 eV.

=====

ORCA calculation (the ωB97M-V functional and the def2-TZVPD basis) on a cluster of 2 separate species, C3H4INOS in total in a non-equilibrium geometry.

Each line ends with the natural charge from an NBO analysis.
Positions of all 11 atoms, in Å:
C -0.6021 0.6799 -0.6802  0.37
C -0.2703 -0.5749 -1.1059  0.38
C -0.9377 0.5722 0.8333  -0.68
N -0.7980 -1.7246 -1.2632  -0.56
O -0.6386 1.7349 -1.2880  -0.44
S 3.8412 0.7502 1.4091  -0.45
I 2.5253 -0.7592 0.1728  0.24
H -1.7201 -0.1461 0.9130  0.23
H -1.2666 1.6465 1.0691  0.25
H 0.0423 0.3121 1.3499  0.26
H -0.1754 -2.4910 -1.4098  0.40

Its spin multiplicity is 1. For the HOMO energy (alpha / beta), the calculation gives -8.1 / -8.1 eV.

=====